## Exercise
Please count the lines further down that contain the word "optimized" and give the number alone.

## Listing
+++
First-principles (GGA-PBE) data for Ca3B6O20 after structural relaxation, as listed in Materials Project.

Calculated values
E_tot: -381.2 eV/cell
SG: No. 15

Cell: 8.2961 8.2961 13.4920 Å, 67.49 67.49 71.63°
Last column: nearest neighbours and their distance in Å.
Positions (direct):
O1 0.9201 0.3059 0.5202  1 O 1.23
O2 0.0162 0.7341 0.8839  1 B 1.46
O3 0.2158 0.3424 0.2929  2 B 1.39-1.46
O4 0.4599 0.6048 0.3815  1 B 1.43
O5 0.6576 0.7842 0.2071  2 B 1.39-1.46
O6 0.3059 0.9201 0.0202  1 O 1.23
O7 0.3328 0.9394 0.0982  1 O 1.23
O8 0.3952 0.5401 0.1185  1 B 1.43
O9 0.2849 0.4092 0.6193  1 B 1.47
O10 0.9394 0.3328 0.5982  1 O 1.23
O11 0.5208 0.8727 0.3800  2 B 1.47-1.49
O12 0.1437 0.0479 0.3559  1 B 1.33
O13 0.9521 0.8563 0.1441  1 B 1.33
O14 0.1928 0.4993 0.8528  1 B 1.43
O15 0.3017 0.9416 0.7946  2 B 1.43-1.54
O16 0.4993 0.1928 0.3528  1 B 1.43
O17 0.6941 0.0799 0.9798  1 O 1.23
O18 0.7341 0.0162 0.3839  1 B 1.46
O19 0.5401 0.3952 0.6185  1 B 1.43
O20 0.1273 0.4792 0.1200  2 B 1.47-1.49
O21 0.5007 0.8072 0.6472  1 B 1.43
O22 0.9838 0.2659 0.1161  1 B 1.46
O23 0.6048 0.4599 0.8815  1 B 1.43
O24 0.4792 0.1273 0.6200  2 B 1.47-1.49
O25 0.0584 0.6983 0.7054  2 B 1.43-1.54
O26 0.9416 0.3017 0.2946  2 B 1.43-1.54
O27 0.5908 0.7151 0.8807  1 B 1.47
O28 0.6672 0.0606 0.9018  1 O 1.23
O29 0.2659 0.9838 0.6161  1 B 1.46
O30 0.8727 0.5208 0.8800  2 B 1.47-1.49
O31 0.4092 0.2849 0.1193  1 B 1.47
O32 0.0799 0.6941 0.4798  1 O 1.23
O33 0.7842 0.6576 0.7071  2 B 1.39-1.46
O34 0.8072 0.5007 0.1472  1 B 1.43
O35 0.7151 0.5908 0.3807  1 B 1.47
O36 0.6983 0.0584 0.2054  2 B 1.43-1.54
O37 0.0479 0.1437 0.8559  1 B 1.33
O38 0.0606 0.6672 0.4018  1 O 1.23
O39 0.3424 0.2158 0.7929  2 B 1.39-1.46
O40 0.8563 0.9521 0.6441  1 B 1.33
B1 0.6039 0.0288 0.3321  4 O 1.43-1.54
B2 0.4185 0.2753 0.6704  4 O 1.43-1.49
B3 0.2753 0.4185 0.1704  4 O 1.43-1.49
B4 0.8946 0.7751 0.6774  3 O 1.33-1.43
B5 0.7247 0.5815 0.8296  4 O 1.43-1.49
B6 0.0288 0.6039 0.8321  4 O 1.43-1.54
B7 0.7751 0.8946 0.1774  3 O 1.33-1.43
B8 0.2249 0.1054 0.8226  3 O 1.33-1.43
B9 0.3961 0.9712 0.6679  4 O 1.43-1.54
B10 0.9712 0.3961 0.1679  4 O 1.43-1.54
B11 0.5815 0.7247 0.3296  4 O 1.43-1.49
B12 0.1054 0.2249 0.3226  3 O 1.33-1.43
Ca1 0.7008 0.3663 0.0639  7 O 2.37-2.63
Ca2 0.0100 0.9900 0.2500  4 O 2.32-2.36
Ca3 0.3663 0.7008 0.5639  7 O 2.37-2.63
Ca4 0.9900 0.0100 0.7500  4 O 2.32-2.36
Ca5 0.2992 0.6337 0.9361  7 O 2.37-2.63
Ca6 0.6337 0.2992 0.4361  7 O 2.37-2.63


A relaxed structure of LiHO2. Source: the Materials Project database, functional PBE.

POSCAR file:
```
LiHO2
1.0
3.446 -3.805 0.000
3.446 3.805 0.000
-1.682 0.000 3.000
Li H O
2 2 4
direct
0.186 0.814 0.000 Li
0.814 0.186 0.000 Li
0.284 0.284 0.692 H
0.716 0.716 0.308 H
0.216 0.216 0.367 O
0.312 0.688 0.500 O
0.688 0.312 0.500 O
0.784 0.784 0.633 O
```

Symmetry = C2/m
Total energy after the MP2020 corrections = -37.71 eV for the cell shown


An optimized crystal structure of LiBiP2O7, computed with PBE.

Properties
* magnetization: 0.0 μB per formula unit
* offset from the most stable computed form: 0.046 eV per atom
* electronic total energy: -147.680 eV/cell
* ΔE_f: -2490 meV per atom

Unit cell a=6.754 b=6.805 c=6.921 alpha=67.51 beta=83.69 gamma=83.15
Positions (direct):
Li 0.588 0.344 0.660
Li 0.412 0.656 0.340
Bi 0.160 0.245 0.112
Bi 0.840 0.755 0.888
P 0.637 0.250 0.236
P 0.113 0.177 0.643
P 0.887 0.823 0.357
P 0.363 0.750 0.764
O 0.482 0.156 0.152
O 0.777 0.045 0.376
O 0.903 0.119 0.752
O 0.777 0.381 0.049
O 0.108 0.331 0.415
O 0.551 0.364 0.379
O 0.241 0.242 0.775
O 0.759 0.758 0.225
O 0.449 0.636 0.621
O 0.892 0.669 0.585
O 0.223 0.619 0.951
O 0.097 0.881 0.248
O 0.223 0.955 0.624
O 0.518 0.844 0.848

An optimized crystal structure of SrTl2Cd, computed with PBE.

Properties
* magnetization: 0.0 μB per formula unit
* electronic total energy: -8.389 eV/cell
* ΔE_f: -263 meV per atom

Unit cell a=5.496 b=5.496 c=5.496 alpha=60.00 beta=60.00 gamma=60.00
Positions (direct):
Sr 0.750 0.750 0.750
Tl 0.500 0.500 0.500
+++

## Outcome
2